Input
/*
# BeZnBr4

Crystalline BeZnBr4 at its relaxed geometry (PBE, the Alexandria database).

space group = P4_2/mmc, No. 131
uncorrected energy = -15.62 eV/f.u.
DOS at the Fermi energy = 0.00 states/eV/f.u.
offset from the most stable computed form = 0 meV/atom

a b c (Å): 7.0242 7.0242 9.5184
angles (deg): 90.00 90.00 90.00
Last column: nearest neighbours and their distance in Å.
Sites, in units of the cell vectors:
Be 0.0000 0.5000 0.0000  4 Br 2.31
Be 0.5000 0.0000 0.5000  4 Br 2.31
Zn 0.0000 0.0000 0.0000  4 Br 2.49
Zn 0.0000 0.0000 0.5000  4 Br 2.49
Br 0.2332 0.2675 0.0000  1 Be 2.31, 1 Zn 2.49
Br 0.2332 0.7325 0.0000  1 Be 2.31, 1 Zn 2.49
Br 0.2675 0.2332 0.5000  1 Be 2.31, 1 Zn 2.49
Br 0.2675 0.7668 0.5000  1 Be 2.31, 1 Zn 2.49
Br 0.7325 0.2332 0.5000  1 Be 2.31, 1 Zn 2.49
Br 0.7325 0.7668 0.5000  1 Be 2.31, 1 Zn 2.49
Br 0.7668 0.2675 0.0000  1 Be 2.31, 1 Zn 2.49
Br 0.7668 0.7325 0.0000  1 Be 2.31, 1 Zn 2.49

* * * * *

A plane-wave DFT calculation with GGA-PBE was carried out for a relaxed MnTeIr2 crystal.

The structure in POSCAR format:
```
MnTeIr2
1.0
-1.836 -5.994 6.005
0.063 -7.562 4.263
1.142 -5.740 6.411
Ir Mn Te
2 1 1
direct
0.993 0.993 0.993
0.507 0.507 0.507
*/
Work order
Type out the part of the listing above that starts with the line with "0.2675 0.7668" and stops after the one with "0.063 -7.562".
Worked solution
Br 0.2675 0.7668 0.5000  1 Be 2.31, 1 Zn 2.49
Br 0.7325 0.2332 0.5000  1 Be 2.31, 1 Zn 2.49
Br 0.7325 0.7668 0.5000  1 Be 2.31, 1 Zn 2.49
Br 0.7668 0.2675 0.0000  1 Be 2.31, 1 Zn 2.49
Br 0.7668 0.7325 0.0000  1 Be 2.31, 1 Zn 2.49

* * * * *

A plane-wave DFT calculation with GGA-PBE was carried out for a relaxed MnTeIr2 crystal.

The structure in POSCAR format:
```
MnTeIr2
1.0
-1.836 -5.994 6.005
0.063 -7.562 4.263